File.
Here is a relaxed Nd4MgTa4Ti4O24 crystal from the Materials Project database. Energies are from GGA-PBE.

Structure (CIF):
```
data_Nd4MgTa4Ti4O24
_cell_length_a 5.343
_cell_length_b 7.613
_cell_length_c 11.308
_cell_angle_alpha 90.20
_cell_angle_beta 90.56
_cell_angle_gamma 90.19
_space_group_name_H-M_alt 'P 1'
_space_group_IT_number 1
loop_
_space_group_symop_operation_xyz
'x,y,z'
loop_
_atom_site_label
_atom_site_type_symbol
_atom_site_fract_x
_atom_site_fract_y
_atom_site_fract_z
O1 O 0.758 0.539 0.027
O2 O 0.333 0.752 0.612
O3 O 0.952 0.251 0.146
O4 O 0.255 0.448 0.471
O5 O 0.528 0.250 0.643
O6 O 0.124 0.050 0.714
O7 O 0.233 0.462 0.979
O8 O 0.839 0.250 0.880
O9 O 0.468 0.751 0.359
O10 O 0.730 0.539 0.527
O11 O 0.359 0.429 0.224
O12 O 0.040 0.750 0.862
O13 O 0.726 0.248 0.381
O14 O 0.882 0.945 0.283
O15 O 0.761 0.962 0.023
O16 O 0.365 0.073 0.221
O17 O 0.236 0.039 0.975
O18 O 0.884 0.555 0.286
O19 O 0.619 0.940 0.786
O20 O 0.179 0.753 0.121
O21 O 0.620 0.558 0.786
O22 O 0.249 0.060 0.458
O23 O 0.726 0.961 0.525
O24 O 0.119 0.449 0.716
Ta1 Ta 0.953 0.006 0.859
Ta2 Ta 0.048 0.517 0.136
Ta3 Ta 0.560 0.002 0.361
Ta4 Ta 0.448 0.508 0.641
Ti1 Ti 0.456 0.992 0.644
Ti2 Ti 0.953 0.495 0.859
Ti3 Ti 0.559 0.494 0.365
Ti4 Ti 0.045 0.988 0.131
Nd1 Nd 0.545 0.249 0.048
Nd2 Nd 0.944 0.248 0.572
Nd3 Nd 0.456 0.748 0.948
Nd4 Nd 0.047 0.747 0.449
Mg1 Mg 0.101 0.241 0.315
```

Polymorph energy (0 for the lowest one) = 0 meV/atom
Final energy = -332.50 eV per formula unit
Energy of formation = -130.547 eV/f.u.
M_tot = 0.054 μB per atom

Work order.
Could you set down only the lines earlier on with the word "is" in them?

Response.
Here is a relaxed Nd4MgTa4Ti4O24 crystal from the Materials Project database. Energies are from GGA-PBE.